Melanie Palmer and Ellen Prediger

This is the first in a series of columns on RNA quality and RNA sample assessment. Watch for future articles on this subject in upcoming TechNotes issues.

mRNA Integrity

Because mRNA comprises only 1-3% of total RNA samples it is not readily detectable even with the most sensitive of methods. Ribosomal RNA, on the other hand, makes up >80% of total RNA samples, with the majority of that comprised by the 28S and 18S rRNA species (in mammalian systems). mRNA quality has historically been assessed by electrophoresis of total RNA followed by staining with ethidium bromide (see Denaturing gel electrophoresis at right). This method relies on the assumption that rRNA quality and quantity reflect that of the underlying mRNA population. Because mammalian 28S and 18S rRNAs are approximately 5 kb and 2 kb in size, the theoretical 28S:18S ratio is approximately 2.7:1; but a 2:1 ratio has long been considered the benchmark for intact RNA. While crisp 28S and 18S rRNA bands are indicative of intact RNA, it is less clear how these long-lived and abundant molecules actually reflect the quality of the underlying mRNA population, which turns over much more rapidly.

Visual assessment of the 28S:18S rRNA ratio on agarose gels is somewhat subjective because appearance of rRNA bands is affected by electrophoresis conditions, amount of RNA loaded, and saturation of ethidium bromide fluorescence (Figure 1). An improved analytical tool for total RNA analysis is the Agilent 2100 bioanalyzer, which uses a combination of microfluidics, capillary electrophoresis, and fluorescence to evaluate both RNA concentration and integrity. Another advantage is that it requires very small inputs, allowing the user to assay RNA quality in limiting samples. At Ambion, we use this tool to assess the quality of our pre-made RNAs. We have also used it to examine the relationship between total RNA profiles and the integrity of mRNA. Some of our results are discussed in the following sections.

Attached: records of molecules.
This record from the Open Molecules 2025 dataset describes a structure of composition C27H51N2O2P3Ti in a non-equilibrium geometry. The level of theory is ωB97M-V with the def2-TZVPD basis set.

CARTESIAN COORDINATES (ANGSTROEM)
Ti  0.96917  -0.35221  -1.20457
P  -1.09482  1.45136  -1.63620
P  -0.71172  -0.15841  1.23839
P  -3.87559  -4.02085  -1.50535
O  0.22273  -2.20066  -0.97966
O  1.50722  4.39395  1.63588
N  3.42274  4.35800  2.93743
N  2.29146  0.93060  -0.28859
C  2.75940  6.70828  2.35222
C  1.46737  -0.18321  -3.05354
C  -2.13431  0.93448  -3.05628
C  -0.41426  3.01943  -2.30902
C  3.42606  0.23532  -0.02597
C  0.08255  -3.29188  -1.70920
C  3.09373  2.70653  1.11558
C  4.46549  0.76821  0.72469
C  -0.66080  -3.25703  -2.89792
C  2.51858  2.77629  4.68829
C  3.22389  5.72783  3.41238
C  -1.05790  -5.62668  -2.65530
C  -4.66460  -4.85168  -2.87883
C  -4.33789  -2.30121  -1.29180
C  0.54773  -4.52248  -1.19133
C  -0.63665  -1.91828  1.75353
C  -1.21535  -4.43578  -3.39240
C  -3.83413  -4.98274  -0.00734
C  -2.36838  0.26576  1.95186
C  2.28023  -1.28183  -2.60118
C  2.17599  2.20549  0.19946
C  -0.11239  -5.66926  -1.61082
C  0.32447  0.65467  2.52203
C  2.60252  3.88668  1.91558
C  3.72771  3.42858  4.04485
C  4.30867  2.02407  1.32531
C  -2.44239  2.15876  -0.58750
H  -5.05420  -2.27346  -0.46091
H  0.13148  -6.61914  -1.15054
H  2.10564  -2.28524  -2.98573
H  -2.31263  1.26007  2.40945
H  5.09047  2.47631  1.90898
H  0.17057  2.80185  -3.20939
H  -4.72853  -4.21175  -3.77175
H  -1.02778  -2.27153  -3.24879
H  0.59193  1.66806  2.19631
H  -0.82564  -2.55562  0.88944
H  1.88544  0.83177  -2.83793
H  2.51378  5.71765  4.25226
H  -2.07038  2.40214  0.41419
H  -2.49194  -3.88889  -1.58462
H  4.18622  6.04863  3.83865
H  0.36121  -2.13364  2.14145
H  1.29364  -4.49207  -0.39228
H  -2.60470  -0.46292  2.73222
H  -5.68590  -5.12155  -2.55417
H  -1.75114  -4.37782  -4.32948
H  -4.51924  -5.83096  -0.11569
H  3.49130  -0.73852  -0.50618
H  -2.94810  0.28453  -2.71013
H  -1.64931  -6.49616  -2.92732
H  -3.27588  1.44696  -0.52680
H  4.40491  2.65624  3.68340
H  3.22783  6.52101  1.37367
H  0.82021  -0.29999  -3.92980
H  -1.52678  0.41239  -3.80431
H  5.36755  0.18399  0.83527
H  1.30694  2.78439  -0.12658
H  2.85649  2.03222  5.41928
H  3.04180  7.71759  2.67382
H  -2.80298  -5.35508  0.14347
H  -4.14317  -4.32071  0.81836
H  1.87374  2.25400  3.96431
H  -2.78776  3.07831  -1.07615
H  1.23156  0.06376  2.69746
H  -0.26470  0.72156  3.44543
H  1.91718  3.52199  5.22713
H  -2.55636  1.85085  -3.48977
H  3.35672  -1.18141  -2.44286
H  4.27280  4.01280  4.79282
H  -4.79701  -1.91802  -2.21623
H  0.20311  3.52737  -1.56217
H  1.66583  6.66942  2.25689
H  -1.28637  3.63927  -2.55482
H  -3.14484  0.24368  1.17976
H  -3.44374  -1.70601  -1.05228
H  -4.13952  -5.76612  -3.18638
H  -1.38628  -2.10226  2.52436

## Properties
DFT total energy: -86856.9204 eV
Spin multiplicity: 2
Net charge: +3
Expectation value of S²: 0.763

Figure 1. RNA Expression Profiles from Different Tissues. Denaturing agarose gel (inset) and Agilent bioanalyzer scan of Human Heart Total RNA (100 ng) (A) and HeLa cell line total RNA (B) isolated by multistep phenol extraction and glass fiber filter binding, respectively. The heart sample had a 28S:18S rRNA ratio of 1.51, and the HeLa cell sample had a 28S:18S rRNA ratio of 1.72.

The 28S:18S rRNA Ratio of 2 -- Is It Important?

rRNA Processing
With the exception of RNA prepared from cultured cells, it is rare to see total RNAs that actually have a 28S:18S rRNA ratio of 2.0 or greater when measured on the Agilent bioanalyzer (Figures 1,2,3). Ambion believes that this is in part linked to instability of the 28S rRNA structure relative to the 18S RNA. This instability may result from its size as well as its high degree of secondary and tertiary structure. In fact, some 23S and 28S rRNAs contain an AU-rich sequence called a "hidden break" that can result in processing of these rRNA species into two smaller RNAs. The molecular mechanism for this type of processing is poorly understood. It is likely that similar structural features may be responsible for the "hypersensitivity" of the mammalian 28S rRNA relative to the 18S rRNA, resulting in 28S:18S rRNA ratios that are less than the theoretical 2.7:1.

Figure 2 shows bioanalyzer profiles of total RNA isolated from 5 different human prostates with progressively lower 28S:18S rRNA ratios. As the area of the 28S rRNA peak decreases, reflecting breakdown, there is first a rise in the baseline between the 18S and 28S rRNA and then a progressive increase in the baseline area below the 18S rRNA that spreads as the 28S rRNA fragments become smaller. However, in all but the most degraded sample (panel E) the 18S rRNA peak remains fairly constant among samples, suggesting that this is not associated with large-scale degradation of the RNA sample. Rather, this profile seems to result from breakdown of the 28S rRNA relative to other RNAs. In fact, even when a sample appears to be fairly degraded based on the 28S rRNA profile, the 18S rRNA and mRNAs may still be fairly intact.

Figure 2. Breakdown of 28S rRNA Fragment. Agilent bioanalyzer scans of human prostate total RNA (100 ng) isolated at different points during progressive degradation of 28S rRNA.

RNA Degradation

Traditionally, emphasis on preserving RNA quality has been placed on methods of tissue storage and disruption, with the goal of minimizing RNase activity during these steps. However, the most critical factor for RNA quality is the physiological state of the tissue at the point of removal, and to date this issue has received little attention. Isolating RNA from human tissue presents challenges that are not always present in experimental animal work. Confounding factors include the physiological state of the tissue prior to death (referred to as the agonal state), and the post-mortem interval -- the delay between time of death and tissue collection. In addition, there may be additional delays before preservation, particularly in clinical settings, where priorities for biopsy and transplant take precedence. Together, these factors almost guarantee that human total RNA will rarely have 28S:18S rRNA ratios of 2.0. Unfortunately, these factors are unavoidable and are rarely considered when evaluating RNA quality.

Tissue Specific Differences in rRNA Ratios
Ambion has also found that rRNA ratios correlate, to some degree, with the tissue of origin. This likely reflects tissue-specific responses to physiological stress both prior to and following death. For example, lower rRNA ratios are characteristic of some tissues, such as liver or lung, regardless of whether the tissue is derived from mouse, rat, or human sources. Other tissues, such as spleen, appear to be more resilient. Figure 3 shows several bioanalyzer scans of total RNA from different human tissues demonstrating this observation. Note that all total RNAs have a relatively low baseline, even though the rRNA ratios vary from 1.95 to 1.2. Most profiles have small spikes in fluorescence between 24 and 29 seconds, corresponding to the 5S rRNA and other small RNAs. The fact that the smaller RNAs are not buried by breakdown products suggests that the RNAs are largely intact. Northern blot analysis of these samples using a GAPDH probe detect a sharp band at approximately 1.4 kb, demonstrating that all of the samples contain intact mRNA (data not shown).

(The text is interrupted by molecular data)
/*
Entry from the Open Molecules 2025 dataset: a 2-piece molecular cluster, C5H9ClSi overall in a non-equilibrium geometry (wB97M-V/def2-TZVPD).

```
16
Properties=species:S:1:pos:R:3:forces:R:3
Cl -5.739756 0.420116 1.351091 0.6987 -0.1293 -0.0440
Si -0.537541 -0.511206 0.558409 0.2276 2.1955 -0.4376
C -2.193712 -0.819871 1.353809 0.4048 0.2328 -1.1500
C 1.430551 0.793570 -0.895190 -0.3809 1.1090 -1.5847
C 2.017588 0.306864 0.367539 -0.1932 -0.6373 -1.2692
C 1.162672 -0.327036 1.223789 1.4634 -0.2094 0.2410
C -0.071618 0.696600 -0.892355 -2.1438 0.3077 1.7863
H -0.430197 1.623105 -0.338117 -0.0051 -0.7452 -0.2427
H -2.967883 -0.089409 1.102024 -0.4084 0.2592 -1.1829
H 3.133949 0.462703 0.296181 -1.2412 -0.4304 1.3704
H 1.769113 1.851452 -1.067822 -0.2958 -0.7588 0.1173
H 1.633287 -0.731231 2.101186 -0.3234 -0.2599 0.4858
H -0.708340 0.718843 -1.784654 0.7426 -0.2654 -0.0601
H 1.765200 0.257716 -1.788510 0.5866 -0.1496 0.2477
H -2.209974 -0.592297 2.369528 0.9436 0.1914 2.2859
H -2.664560 -1.780131 1.313909 -0.0756 -0.7103 -0.5634
```
Forces are in eV/Å.

Output
E_HOMO, eV: -6.56
ΔE to the lowest compared entry with this formula, charge and spin, kJ/mol: 430.6
Kohn-Sham gap, eV: 3.517
LUMO, eV: -3.047

=====

Entry from the Open Molecules 2025 dataset: C35H33ClN4PbSi2 as an isolated structure in a non-equilibrium geometry (wB97M-V/def2-TZVPD).

```
76
Properties=species:S:1:pos:R:3:forces:R:3
Pb 0.844281 0.300976 -0.870458 -1.8628 -0.9806 -0.7321
Cl 3.634161 2.523945 -3.668854 0.5330 1.0728 0.1344
Si 0.980520 -0.058648 -6.486147 3.2798 0.6243 -0.0891
Si 2.902377 0.941332 -4.864691 -3.7573 -1.7180 0.4772
N 0.882947 2.096170 0.837542 0.9525 0.0690 1.6925
N 1.423497 2.558640 2.927527 0.1206 -0.0221 0.3753
N 2.307492 -0.530467 1.021083 0.5094 0.9922 1.4672
N 2.871601 -0.096330 3.113954 -0.0042 0.0269 0.1646
C -1.882254 -0.857132 -1.069967 0.3354 -0.0402 0.3936
C -2.014124 0.138571 -0.051339 0.4437 -0.2376 -0.3171
C 3.359988 -1.361653 2.824966 -0.1885 0.4357 -0.4487
C 0.970932 3.285215 -5.193720 -1.6834 1.1530 -0.3090
C -0.180322 3.564459 -9.113920 0.1255 0.0160 -0.0632
C 0.595007 -1.507542 -8.980080 -0.0825 -0.6511 0.2809
C -0.411474 1.658351 -4.072417 -0.5701 0.6975 -0.1184
C 3.020256 -1.610472 1.523907 -0.5573 0.8215 0.1143
C 1.151700 3.149994 -8.969484 -0.4917 -0.2354 0.2815
C -0.051947 -1.033631 -5.296100 -0.0478 -0.5891 0.4714
C 0.325144 -2.743797 -9.589952 -0.0360 -0.1192 0.2469
C 0.323820 3.319256 1.180981 0.3800 -0.9069 -0.0252
C 0.642140 3.610320 2.473781 0.2441 -0.2993 -0.1582
C 0.350812 1.300146 -7.604111 0.1166 -0.0829 0.1732
C -1.337308 -3.421307 -4.649051 0.0391 0.1788 0.2127
C 1.406301 2.011478 -8.210777 -0.3990 0.4141 -0.2542
C -1.481844 2.579773 -4.040736 0.3425 -0.3230 0.0482
C 0.755094 -3.931510 -8.991157 0.1012 0.2552 0.0056
C -1.322502 3.846489 -4.612614 -0.2005 -0.2022 0.2392
C -0.977709 1.653312 -7.854519 0.3985 0.6724 -0.2861
C 0.628063 -2.035043 -4.567712 -0.4122 -0.0773 -0.4402
*/

Figure. 3. Variation in Total RNA Profile Among Different Human Tissues. Agilent bioanalyzer scan of Human Total RNA (100 ng) from the noted tissues using large scale RNA preparations by multistep phenol extraction, followed by LiCl precipitation, and DNase treatment and cleanup. While these RNA samples had variable 28S:18S rRNA ratios (see individual panel descriptions), mRNA was judged intact by Northern analysis with a probe to GAPDH (data not shown).

What Conclusions Can We Draw?

At this time there is no simple metric to predict whether mRNA is intact, especially in limiting samples. The Agilent 2100 bioanalyzer has provided a tool to more clearly evaluate each of the major components making up total RNA and to assess how they vary with source, time, and storage. However, the relationship between rRNA profile and mRNA integrity is still unclear. Certainly total RNA with a 28S:18S rRNA ratio of 2.0 denotes high quality. However, it does not necessarily follow that total RNA with lower rRNA ratios are of poor quality, and this is true for the majority of total RNAs.

These molecular data were left in the entry by mistake:
/*
4 unconnected molecules or ions with the total composition C4H12O4, computed with wB97M-V/def2-TZVPD.

Last column: Mulliken charge in e.
Cartesian coordinates (Å):
C  3.05  0.74  2.54  -0.71
C  1.85  0.62  2.00  -0.11
C  1.33  1.17  0.74  -0.13
C  0.52  0.62  -0.15  -0.16
O  0.38  1.37  -1.30  -0.49
H  3.28  0.46  3.57  0.23
H  3.98  1.26  2.24  0.24
H  1.06  0.41  2.75  0.22
H  1.82  2.11  0.48  0.29
H  -0.17  -0.19  -0.02  0.29
H  0.24  0.79  -2.08  0.34
H  -0.84  -3.35  -2.65  0.30
H  -1.12  -2.53  -1.38  0.33
O  -0.48  -2.66  -2.08  -0.61
H  -2.00  4.04  0.90  0.31
H  -1.82  2.90  -0.08  0.30
O  -1.51  3.80  0.11  -0.62
H  -3.19  -4.55  -2.28  0.32
H  -3.39  -3.38  -1.23  0.32
O  -2.99  -3.62  -2.07  -0.66

Properties
**Energy relative to the best compared isomer or geometry (same formula, charge and spin)**: 67.33 kcal/mol
**SMILES**: C=C/C=C/O.O.O.O
**Lowest unoccupied orbital energy**: 0.256 eV
**HOMO energy**: -8.47 eV
**Total charge**: 0
**E_tot**: -12530.172 eV
**Frontier orbital gap**: 8.7 eV
**F_max**: 2.38 eV Å⁻¹

A single C7H13NOS molecule, computed with wB97M-V/def2-TZVPD.

Last column: Mulliken charge in e.
Cartesian coordinates (Å):
C  -4.32  0.30  0.11  0.53
C  -2.60  -1.29  0.77  -0.43
C  -0.15  0.25  0.43  -1.33
C  1.32  1.19  -1.43  -1.41
C  1.57  -1.10  -0.50  -1.69
C  2.25  0.82  0.84  -2.00
C  1.27  0.33  -0.15  1.91
N  -3.78  -0.53  0.76  -0.32
O  -5.03  1.08  -0.28  -0.37
S  -1.38  -0.73  -0.50  -0.12
H  -2.25  -1.24  1.73  0.31
H  -2.72  -2.43  0.67  0.31
H  -0.03  -0.31  1.35  0.42
H  0.73  0.67  -2.24  0.35
H  2.23  1.12  -2.12  0.38
H  0.92  2.29  -1.37  0.30
H  2.51  -1.06  -0.99  0.48
H  1.47  -1.92  0.21  0.36
H  0.77  -1.55  -1.26  0.36
H  3.17  0.46  0.55  0.49
H  2.06  0.52  1.83  0.46
H  2.37  1.89  0.79  0.42
H  -0.37  1.21  0.79  0.61

Properties
**Energy relative to the best compared isomer or geometry (same formula, charge and spin)**: 36.67 kcal/mol
**SMILES**: CC(C)(C)CSCN=C=O
**Lowest unoccupied orbital energy**: 0.671 eV
**HOMO energy**: -8.91 eV
**Total charge**: 0
**E_tot**: -21840.822 eV
**Frontier orbital gap**: 9.6 eV
**F_max**: 5.24 eV Å⁻¹

2 unconnected molecules or ions with the total composition C4H8O2, computed with wB97M-V/def2-TZVPD.

Last column: Mulliken charge in e.
Cartesian coordinates (Å):
C  2.39  -0.26  0.50  -0.74
C  2.35  0.54  -0.57  0.09
O  1.87  1.84  -0.49  -0.47
H  2.68  -1.28  0.37  0.27
H  2.31  0.17  1.49  0.25
H  2.52  0.19  -1.59  0.26
H  1.70  2.14  -1.39  0.34
C  -1.52  -0.02  -0.35  -0.61
C  -2.58  -0.48  0.31  0.13
O  -2.50  -1.33  1.38  -0.47
H  -1.68  0.78  -1.10  0.19
H  -0.53  -0.46  -0.27  0.20
H  -3.61  -0.25  0.09  0.23
H  -3.40  -1.59  1.63  0.35

Properties
**Energy relative to the best compared isomer or geometry (same formula, charge and spin)**: 62.51 kcal/mol
**SMILES**: C=CO.C=CO
**Lowest unoccupied orbital energy**: 0.822 eV
**HOMO energy**: -8.88 eV
**Total charge**: 0
**E_tot**: -8370.571 eV
**Frontier orbital gap**: 9.7 eV
**F_max**: 1.09 eV Å⁻¹
*/

Ensuring Quality of Purified RNA

To ensure that Ambion is providing its customers with the highest quality human RNA available, we have performed an extensive study on human total RNA to analyze the impact of varying rRNA ratios on the underlying mRNA. Assays include Northern blot analysis, first- and second-strand cDNA synthesis, aRNA synthesis, test microarrays, and real-time PCR. Our data suggest that RNA with lower 28S:18S ratios may be quite adequate for most applications. This should at least comfort some of those scientists who have struggled to obtain a rRNA ratio of 2.0 from a tissue that consistently yields a ratio of 1.6. Such samples, indeed, generally yield good aRNA amplification and Northern results.

Generally total RNAs with 28S:18S rRNA ratios >1.0 and a low baseline between the 18S and 5S rRNA or Nano Marker are suitable for all but the most stringent applications. Through extensive analysis we have determined that the most critical factor in the above assays, aside from integrity, is purity. Because most RNAs are used in downstream enzymatic applications, residual contaminants will have the largest impact on the quality of the resulting cDNA or aRNA. The most intact RNA will not perform well if the sample contains residual organics, metal ions, or nucleases. To ensure that your RNA is free of contaminants that can compromise integrity, perform a simple stability test by incubating a small amount of RNA at 37°C for several hours to overnight and compare it to a duplicate sample stored at -20°C. The sample stored at 37°C should show a minimal decrease in the 28S:18S ratio relative to the one stored at -20°C. In general, samples with greater than a 20% change in rRNA ratio over time may not perform well in downstream applications.